Assignment >
Set down all of the data underneath word for word.

Excerpt >
=====
Density functional theory data (wB97M-V/def2-TZVPD) for 2 unconnected molecules or ions with the total composition C10H23B4N2O7 at a distorted geometry.

Geometry as ORCA input:
```
! wB97M-V def2-TZVPD RIJCOSX def2/J DEFGRID3
* xyz 1 1
C 2.957 -2.163 3.489
C 4.003 -1.602 2.444
O 3.432 -1.152 1.197
B 2.704 -2.181 0.523
O 3.258 -3.493 0.382
B 1.171 -1.875 -0.066
O 0.815 -0.682 -0.827
B -0.288 -0.130 -0.065
C -0.301 1.409 0.461
C -1.578 1.552 1.411
N -1.458 1.520 2.703
O -1.415 -0.970 0.293
B -0.820 -2.061 1.006
C -1.088 -2.458 2.538
C -2.620 -3.152 2.621
C -3.186 -3.696 1.167
O -2.673 -4.607 2.360
O 0.150 -2.853 0.263
H 3.487 -2.173 4.498
H 2.046 -1.507 3.631
H 2.626 -3.223 3.275
H 4.501 -0.700 2.926
H 4.816 -2.369 2.306
H 4.106 -3.476 -0.095
H -0.298 2.144 -0.402
H 0.605 1.505 1.142
H -2.598 1.661 0.957
H -0.453 1.396 2.924
H -0.379 -3.217 2.966
H -1.174 -1.502 3.131
H -3.394 -2.676 3.351
H -2.514 -4.272 0.482
H -4.300 -3.785 1.256
C 0.353 2.475 -4.632
C -0.472 3.285 -3.689
O -0.931 2.907 -2.650
N -0.694 4.706 -3.948
C -2.132 5.037 -4.207
H 0.314 1.428 -4.337
H -0.037 2.571 -5.648
H 1.389 2.822 -4.598
H -0.080 5.049 -4.691
H -0.473 5.141 -3.045
H -2.447 4.531 -5.119
H -2.201 6.116 -4.333
H -2.729 4.722 -3.352
*
```

## Properties
LUMO level: -0.15626 hartree
Kohn-Sham gap: 0.26219 Ha

Here is what Mulliken gives for the atomic charges, in e:
1. C -0.970
2. C -0.220
3. O -0.564
4. B 0.335
5. O -0.500
6. B 0.439
7. O -0.123
8. B 0.497
9. C -0.330
10. C 0.042
11. N -0.667
12. O -0.529
13. B 0.334
14. C -0.540
15. C 0.211
16. C -0.784
17. O -0.452
18. O -0.291
19. H 0.389
20. H 0.190
21. H 0.259
22. H 0.295
23. H 0.259
24. H 0.299
25. H -0.097
26. H 0.351
27. H 0.346
28. H 0.260
29. H 0.244
30. H 0.317
31. H 0.336
32. H 0.298
33. H 0.387
34. C -1.071
35. C 0.525
36. O -0.487
37. N -0.091
38. C -0.818
39. H 0.306
40. H 0.402
41. H 0.373
42. H 0.388
43. H 0.394
44. H 0.355
45. H 0.367
46. H 0.338

Density functional theory data (wB97M-V/def2-TZVPD) for a molecular structure, C10H23BeN2O8 at a distorted geometry.

Geometry as ORCA input:
```
! wB97M-V def2-TZVPD RIJCOSX def2/J DEFGRID3
* xyz 0 2
Be -0.162 0.434 -0.245
C -0.150 2.685 -2.228
O -0.178 3.510 -3.148
O 0.998 2.382 -1.766
O -1.187 2.332 -1.648
O -4.223 -1.209 -1.591
C -3.375 -0.463 -0.920
O -2.309 -0.926 -0.574
O -3.533 0.760 -0.783
H -3.642 -1.941 -1.811
C 2.015 -3.643 -0.527
C 1.631 -2.172 -0.865
C 0.664 -2.147 -2.114
O 0.301 -0.825 -2.372
C -0.216 -0.741 -3.694
N 0.953 -1.720 0.331
H 2.572 -3.657 0.410
H 2.674 -3.903 -1.355
H 1.154 -4.307 -0.439
H 2.511 -1.538 -0.972
H -0.302 -2.622 -1.945
H 1.241 -2.659 -2.885
H 0.501 -0.914 -4.496
H -0.682 0.209 -3.954
H -0.973 -1.490 -3.929
H 0.569 -2.570 0.718
H 1.706 -1.450 0.948
C 1.384 3.203 2.286
C 1.209 1.689 2.664
C -0.223 1.180 2.972
O -1.164 1.370 1.950
C -2.532 1.135 2.405
N 1.696 0.996 1.466
H 2.389 3.484 1.971
H 1.116 3.808 3.151
H 0.766 3.429 1.416
H 1.787 1.361 3.529
H -0.586 1.674 3.873
H -0.178 0.140 3.295
H -2.696 0.250 3.021
H -3.326 1.194 1.662
H -2.853 2.053 2.896
H 2.582 1.480 1.445
H 2.071 0.141 1.852
*
```

## Properties
LUMO level (spin up / spin down): -0.02843 / -0.04415 hartree
Kohn-Sham gap (spin up / spin down): 0.24704 / 0.23129 Ha

Here is what Mulliken gives for the atomic charges, in e:
1. Be 1.193
2. C 0.881
3. O -0.484
4. O -0.577
5. O -0.538
6. O -0.517
7. C 0.656
8. O -0.642
9. O -0.669
10. H 0.309
11. C -1.579
12. C 0.267
13. C -0.898
14. O -0.029
15. C -1.012
16. N -0.356
17. H 0.444
18. H 0.446
19. H 0.408
20. H 0.377
21. H 0.351
22. H 0.427
23. H 0.352
24. H 0.300
25. H 0.345
26. H 0.223
27. H 0.147
28. C -1.352
29. C 0.052
30. C -0.728
31. O -0.283
32. C -0.895
33. N -0.396
34. H 0.468
35. H 0.376
36. H 0.304
37. H 0.381
38. H 0.532
39. H 0.381
40. H 0.371
41. H 0.253
42. H 0.353
43. H 0.209
44. H 0.150

Density functional theory data (wB97M-V/def2-TZVPD) for a molecular structure, C10H23Br2MgNO4PS.

Geometry as ORCA input:
```
! wB97M-V def2-TZVPD RIJCOSX def2/J DEFGRID3
* xyz 1 1
=====

Completed >
Density functional theory data (wB97M-V/def2-TZVPD) for 2 unconnected molecules or ions with the total composition C10H23B4N2O7 at a distorted geometry.

Geometry as ORCA input:
```
! wB97M-V def2-TZVPD RIJCOSX def2/J DEFGRID3
* xyz 1 1
C 2.957 -2.163 3.489
C 4.003 -1.602 2.444
O 3.432 -1.152 1.197
B 2.704 -2.181 0.523
O 3.258 -3.493 0.382
B 1.171 -1.875 -0.066
O 0.815 -0.682 -0.827
B -0.288 -0.130 -0.065
C -0.301 1.409 0.461
C -1.578 1.552 1.411
N -1.458 1.520 2.703
O -1.415 -0.970 0.293
B -0.820 -2.061 1.006
C -1.088 -2.458 2.538
C -2.620 -3.152 2.621
C -3.186 -3.696 1.167
O -2.673 -4.607 2.360
O 0.150 -2.853 0.263
H 3.487 -2.173 4.498
H 2.046 -1.507 3.631
H 2.626 -3.223 3.275
H 4.501 -0.700 2.926
H 4.816 -2.369 2.306
H 4.106 -3.476 -0.095
H -0.298 2.144 -0.402
H 0.605 1.505 1.142
H -2.598 1.661 0.957
H -0.453 1.396 2.924
H -0.379 -3.217 2.966
H -1.174 -1.502 3.131
H -3.394 -2.676 3.351
H -2.514 -4.272 0.482
H -4.300 -3.785 1.256
C 0.353 2.475 -4.632
C -0.472 3.285 -3.689
O -0.931 2.907 -2.650
N -0.694 4.706 -3.948
C -2.132 5.037 -4.207
H 0.314 1.428 -4.337
H -0.037 2.571 -5.648
H 1.389 2.822 -4.598
H -0.080 5.049 -4.691
H -0.473 5.141 -3.045
H -2.447 4.531 -5.119
H -2.201 6.116 -4.333
H -2.729 4.722 -3.352
*
```

## Properties
LUMO level: -0.15626 hartree
Kohn-Sham gap: 0.26219 Ha

Here is what Mulliken gives for the atomic charges, in e:
1. C -0.970
2. C -0.220
3. O -0.564
4. B 0.335
5. O -0.500
6. B 0.439
7. O -0.123
8. B 0.497
9. C -0.330
10. C 0.042
11. N -0.667
12. O -0.529
13. B 0.334
14. C -0.540
15. C 0.211
16. C -0.784
17. O -0.452
18. O -0.291
19. H 0.389
20. H 0.190
21. H 0.259
22. H 0.295
23. H 0.259
24. H 0.299
25. H -0.097
26. H 0.351
27. H 0.346
28. H 0.260
29. H 0.244
30. H 0.317
31. H 0.336
32. H 0.298
33. H 0.387
34. C -1.071
35. C 0.525
36. O -0.487
37. N -0.091
38. C -0.818
39. H 0.306
40. H 0.402
41. H 0.373
42. H 0.388
43. H 0.394
44. H 0.355
45. H 0.367
46. H 0.338

Density functional theory data (wB97M-V/def2-TZVPD) for a molecular structure, C10H23BeN2O8 at a distorted geometry.

Geometry as ORCA input:
```
! wB97M-V def2-TZVPD RIJCOSX def2/J DEFGRID3
* xyz 0 2
Be -0.162 0.434 -0.245
C -0.150 2.685 -2.228
O -0.178 3.510 -3.148
O 0.998 2.382 -1.766
O -1.187 2.332 -1.648
O -4.223 -1.209 -1.591
C -3.375 -0.463 -0.920
O -2.309 -0.926 -0.574
O -3.533 0.760 -0.783
H -3.642 -1.941 -1.811
C 2.015 -3.643 -0.527
C 1.631 -2.172 -0.865
C 0.664 -2.147 -2.114
O 0.301 -0.825 -2.372
C -0.216 -0.741 -3.694
N 0.953 -1.720 0.331
H 2.572 -3.657 0.410
H 2.674 -3.903 -1.355
H 1.154 -4.307 -0.439
H 2.511 -1.538 -0.972
H -0.302 -2.622 -1.945
H 1.241 -2.659 -2.885
H 0.501 -0.914 -4.496
H -0.682 0.209 -3.954
H -0.973 -1.490 -3.929
H 0.569 -2.570 0.718
H 1.706 -1.450 0.948
C 1.384 3.203 2.286
C 1.209 1.689 2.664
C -0.223 1.180 2.972
O -1.164 1.370 1.950
C -2.532 1.135 2.405
N 1.696 0.996 1.466
H 2.389 3.484 1.971
H 1.116 3.808 3.151
H 0.766 3.429 1.416
H 1.787 1.361 3.529
H -0.586 1.674 3.873
H -0.178 0.140 3.295
H -2.696 0.250 3.021
H -3.326 1.194 1.662
H -2.853 2.053 2.896
H 2.582 1.480 1.445
H 2.071 0.141 1.852
*
```

## Properties
LUMO level (spin up / spin down): -0.02843 / -0.04415 hartree
Kohn-Sham gap (spin up / spin down): 0.24704 / 0.23129 Ha

Here is what Mulliken gives for the atomic charges, in e:
1. Be 1.193
2. C 0.881
3. O -0.484
4. O -0.577
5. O -0.538
6. O -0.517
7. C 0.656
8. O -0.642
9. O -0.669
10. H 0.309
11. C -1.579
12. C 0.267
13. C -0.898
14. O -0.029
15. C -1.012
16. N -0.356
17. H 0.444
18. H 0.446
19. H 0.408
20. H 0.377
21. H 0.351
22. H 0.427
23. H 0.352
24. H 0.300
25. H 0.345
26. H 0.223
27. H 0.147
28. C -1.352
29. C 0.052
30. C -0.728
31. O -0.283
32. C -0.895
33. N -0.396
34. H 0.468
35. H 0.376
36. H 0.304
37. H 0.381
38. H 0.532
39. H 0.381
40. H 0.371
41. H 0.253
42. H 0.353
43. H 0.209
44. H 0.150

Density functional theory data (wB97M-V/def2-TZVPD) for a molecular structure, C10H23Br2MgNO4PS.

Geometry as ORCA input:
```
! wB97M-V def2-TZVPD RIJCOSX def2/J DEFGRID3
* xyz 1 1